Given.
~~~
Structure and calculated powder diffractogram of CaAl2Si3O10 (a PBE-relaxed structure; Cu Kα, 1.54184 Å).
Kinematic intensities with the Lorentz-polarization factor, no thermal factor.

Crystal structure
Unit cell a=8.0594 b=9.6833 c=9.7628 alpha=104.13 beta=100.19 gamma=98.74
Space group P1 (No. 1)
One atom of each set of equivalent atoms:
Ca: 0.0000 0.0000 0.0000 (multiplicity 1)
Ca: 0.4969 0.9031 0.0858 (multiplicity 1)
Al: 0.1595 0.4426 0.2595 (multiplicity 1)
Al: 0.2576 0.0298 0.3524 (multiplicity 1)
Al: 0.6676 0.1664 0.5347 (multiplicity 1)
Al: 0.7508 0.2600 0.1264 (multiplicity 1)
Si: 0.2724 0.7420 0.3408 (multiplicity 1)
Si: 0.3224 0.6227 0.1114 (multiplicity 1)
Si: 0.4140 0.2248 0.2631 (multiplicity 1)
Si: 0.7689 0.2418 0.8361 (multiplicity 1)
Si: 0.8279 0.0133 0.7181 (multiplicity 1)
Si: 0.9169 0.1710 0.3199 (multiplicity 1)
O: 0.0663 0.0870 0.3574 (multiplicity 1)
O: 0.1528 0.6112 0.3751 (multiplicity 1)
O: 0.2021 0.7563 0.1667 (multiplicity 1)
O: 0.2029 0.4653 0.0921 (multiplicity 1)
O: 0.2852 0.0582 0.1674 (multiplicity 1)
O: 0.2964 0.9037 0.4451 (multiplicity 1)
O: 0.3080 0.3439 0.3164 (multiplicity 1)
O: 0.4285 0.6728 0.0028 (multiplicity 1)
O: 0.4421 0.6807 0.2877 (multiplicity 1)
O: 0.4679 0.1576 0.4075 (multiplicity 1)
O: 0.5584 0.2629 0.1783 (multiplicity 1)
O: 0.6578 0.2808 0.7018 (multiplicity 1)
O: 0.6980 0.0653 0.8419 (multiplicity 1)
O: 0.7179 0.9988 0.5575 (multiplicity 1)
O: 0.7832 0.3452 0.9957 (multiplicity 1)
O: 0.7851 0.0751 0.1535 (multiplicity 1)
O: 0.8134 0.2251 0.4390 (multiplicity 1)
O: 0.9351 0.9036 0.7714 (multiplicity 1)
O: 0.9462 0.1901 0.7882 (multiplicity 1)
O: 0.9628 0.3169 0.2534 (multiplicity 1)

Largest 10 diffraction maxima, low angle first, 2θ from 10° to 90°:
2θ (°)	I/Imax
13.16	100
13.34	98
16.12	17
16.38	81
16.48	64
19.27	14
25.56	16
25.88	17
31.35	16
31.73	22


[1]
# Hg2IBr
Computed X-ray diffraction stick pattern, Cu Kα X-rays. Input: DFT lattice parameters and positions (PBE).
Peak positions follow from Bragg's law for the DFT cell and can differ from measured ones.

Top 10 peaks for 10 to 90 degrees two-theta, sorted by position:
Position (°2θ)  I_rel
19.61  32
25.61  100
30.90  25
36.53  40
40.55  49
43.19  19
48.58  29
57.82  16
59.41  20
68.48  21

Atomic structure:
```
data_Hg2IBr
_chemical_formula_sum 'Hg2 I1 Br1'
_symmetry_space_group_name_H-M 'P 1'
_symmetry_Int_Tables_number 1
_cell_length_a 6.752
_cell_length_b 6.752
_cell_length_c 6.752
_cell_angle_alpha 137.27
_cell_angle_beta 137.27
_cell_angle_gamma 62.02
loop_
_symmetry_equiv_pos_as_xyz
'x,y,z'
loop_
_atom_site_label
_atom_site_fract_x
_atom_site_fract_y
_atom_site_fract_z
Hg1 0.000 0.000 0.000
Hg2 0.229 0.229 0.000
I1 0.761 0.761 0.000
Br1 0.456 0.456 0.000
```

[2]
# CuP4Se3I
Computed X-ray diffraction stick pattern, Cu Kα X-rays. Input: DFT lattice parameters and positions (PBE).
Peak positions follow from Bragg's law for the DFT cell and can differ from measured ones.

Top 10 peaks for 10 to 90 degrees two-theta, sorted by position:
Position (°2θ)  I_rel
18.08  87
27.41  27
27.85  100
28.61  59
29.09  32
29.46  20
32.31  43
44.05  23
46.43  23
53.29  29

Atomic structure:
```
data_CuP4Se3I
_chemical_formula_sum 'Cu4 P16 Se12 I4'
_symmetry_space_group_name_H-M 'P 1'
_symmetry_Int_Tables_number 1
_cell_length_a 12.120
_cell_length_b 12.120
_cell_length_c 10.908
_cell_angle_alpha 90.00
_cell_angle_beta 90.00
_cell_angle_gamma 141.91
loop_
_symmetry_equiv_pos_as_xyz
'x,y,z'
loop_
_atom_site_label
_atom_site_fract_x
_atom_site_fract_y
_atom_site_fract_z
Cu1 0.198 0.198 0.000
Cu2 0.302 0.302 0.500
Cu3 0.698 0.698 0.500
Cu4 0.802 0.802 0.000
P1 0.062 0.222 0.457
P2 0.115 0.885 0.709
P3 0.219 0.781 0.472
P4 0.222 0.062 0.543
P5 0.278 0.438 0.043
P6 0.281 0.719 0.972
P7 0.385 0.615 0.209
P8 0.438 0.278 0.957
P9 0.562 0.722 0.043
P10 0.615 0.385 0.791
P11 0.719 0.281 0.028
P12 0.722 0.562 0.957
P13 0.778 0.938 0.457
P14 0.781 0.219 0.528
P15 0.885 0.115 0.291
P16 0.938 0.778 0.543
Se1 0.062 0.379 0.571
~~~

Request.
Say how many lines of the material further above hold the word "first", as a bare number.

Worked solution.
1